== Job ==
Print only the last part of the lines underneath, starting with the line that has "-3.43769 -0.074".
== Data ==
(1)
59
Properties=species:S:1:pos:R:3:forces:R:3 method="wB97M-V/def2-TZVPD" relative_energy_kcal_mol=0.0 total_charge=0 homo_ev=-8.9
Bi -1.98235 0.25444 0.00142 -0.072 -0.531 0.654
C -3.07579 2.60266 2.07381 0.006 0.096 0.301
N -2.22373 1.46136 2.40454 -0.186 -0.342 0.302
C -2.89167 0.55867 3.38373 -0.392 0.732 0.096
C -0.85364 1.84907 2.79570 0.134 -0.343 -0.583
C 0.16154 0.91353 2.09663 -0.122 0.471 -0.341
N 0.07097 0.95876 0.60046 0.105 0.510 0.123
C 0.70772 2.00323 -0.04153 0.110 -0.113 0.384
C 0.87585 2.03282 -1.46334 -0.032 -0.219 -0.562
F -1.82421 1.51254 -1.66444 0.040 0.173 0.027
C 1.19970 3.23360 -2.08997 0.320 0.224 -0.048
F 1.12955 3.34061 -3.43769 -0.074 -0.384 0.083
C 1.67447 4.33737 -1.43847 0.105 0.517 -0.446
C 1.77402 4.21557 -0.08042 -0.238 0.006 0.658
F 2.23122 5.22719 0.65860 0.137 0.114 -0.158
C 1.30508 3.12004 0.60863 -0.229 -0.291 -0.062
F 1.40260 3.23369 1.94655 0.060 0.022 0.057
H -3.29717 3.22874 2.95501 0.102 -0.088 -0.131
H -2.55699 3.22169 1.33228 -0.292 -0.067 0.008
H -4.04278 2.24880 1.69067 0.258 0.087 -0.080
H -3.36237 1.15071 4.20286 0.275 -0.161 -0.437
H -3.68702 -0.02667 2.89950 0.306 0.160 0.051
H -2.18575 -0.12314 3.83822 0.191 -0.140 -0.162
H -0.67649 2.89007 2.51185 -0.144 -0.217 -0.103
H -0.69112 1.81183 3.87291 -0.155 -0.167 0.176
H 1.16123 1.14215 2.42354 0.359 0.190 -0.018
H 0.01200 -0.10295 2.39751 -0.307 -0.376 0.176
H 1.97192 5.24623 -1.95048 -0.121 -0.181 0.032
O -0.15114 -2.23157 3.35524 0.012 0.213 -0.286
S -1.04127 -2.59352 2.26689 0.201 -0.570 0.418
O -2.00938 -3.59883 2.60778 -0.062 0.458 -0.438
O -1.59241 -1.34682 1.65462 -0.220 -0.415 -0.350
C 0.03774 -3.32224 0.99940 -0.099 0.215 0.316
C 1.26941 -3.71974 1.49732 -0.041 0.224 -0.092
C 2.21492 -4.30927 0.67631 -0.089 -0.266 0.090
C 1.91546 -4.56565 -0.65218 0.179 -0.088 0.075
C 0.67749 -4.20818 -1.15068 -0.082 0.160 -0.547
C -0.24334 -3.55588 -0.34370 -0.456 0.045 -0.232
S -1.69793 -2.95722 -1.20479 -1.204 0.262 1.058
O -1.72198 -3.57114 -2.49244 0.332 -0.144 -0.572
O -2.87283 -3.12373 -0.37946 0.775 0.242 -0.279
O -1.36936 -1.46278 -1.37082 0.085 0.017 0.351
H 1.45371 -3.49436 2.53480 0.217 -0.151 0.112
H 3.15345 -4.62008 1.10807 0.197 0.043 -0.070
H 2.64047 -5.03373 -1.30532 0.003 -0.066 0.047
H 0.41284 -4.37831 -2.19814 0.114 0.012 0.419
C 2.40839 0.87099 -3.68617 -0.515 -0.012 0.041
P 1.07361 0.57014 -2.49622 -0.534 0.007 0.360
C -0.31846 0.13976 -3.54825 0.832 0.173 -0.563
C 1.64901 -0.78799 -1.45284 0.565 0.297 -0.417
H 2.65883 -0.08296 -4.12637 0.092 -0.340 -0.101
H 3.28057 1.29693 -3.23340 0.485 0.183 0.412
H 2.07188 1.53540 -4.46932 -0.113 0.080 -0.124
H 0.04405 -0.68025 -4.18253 -0.228 0.030 0.099
H -0.48920 1.02092 -4.17865 -0.127 -0.160 0.143
H -1.19472 -0.13987 -2.99577 -0.121 -0.056 -0.052
H 2.44419 -1.27395 -2.01403 0.080 -0.140 -0.036
H 0.90222 -1.51723 -1.21378 -0.495 -0.109 0.021
H 2.06700 -0.40142 -0.53362 0.071 0.176 0.197


(2)
55
Properties=species:S:1:pos:R:3:forces:R:3 method="wB97M-V/def2-TZVPD" relative_energy_kcal_mol=0.0 total_charge=+2 multiplicity=6 s2=8.782 homo_ev="-15.1 / -15.5"
Ir 0.53953 -0.94017 -0.15188 -0.041 0.577 0.326
C -0.27336 -1.81051 2.88540 -0.034 -0.099 0.030
O 0.74896 -1.18962 2.08025 -0.088 -0.346 -0.065
C 2.09005 -1.45767 2.51966 0.104 0.038 0.066
C 2.98134 -0.63537 1.63535 0.106 0.095 0.162
O 2.76245 -0.99450 0.24900 -0.236 -0.124 -0.062
C 3.47309 -2.17433 -0.19524 0.175 -0.008 -0.079
H -0.14632 -1.49748 3.92011 0.015 0.055 0.003
H -0.21175 -2.89649 2.81423 0.034 -0.003 -0.029
H -1.23335 -1.46411 2.51307 0.007 0.019 -0.026
H 2.29319 -2.52971 2.44495 -0.045 -0.019 0.025
H 2.20969 -1.14785 3.55893 -0.077 0.039 0.013
H 4.02935 -0.77271 1.89924 0.039 -0.038 -0.120
H 2.71374 0.41696 1.71725 0.023 -0.025 -0.031
H 4.52373 -2.07423 0.07020 0.002 0.043 0.006
H 3.37573 -2.21086 -1.27566 -0.029 0.015 -0.009
H 3.06453 -3.08008 0.25492 -0.029 0.027 0.035
Cl -2.01419 -4.61308 -6.01137 -0.039 -0.038 -0.001
C -1.16561 -3.67896 -4.89921 0.031 0.035 -0.024
== Outcome ==
F 1.12955 3.34061 -3.43769 -0.074 -0.384 0.083
C 1.67447 4.33737 -1.43847 0.105 0.517 -0.446
C 1.77402 4.21557 -0.08042 -0.238 0.006 0.658
F 2.23122 5.22719 0.65860 0.137 0.114 -0.158
C 1.30508 3.12004 0.60863 -0.229 -0.291 -0.062
F 1.40260 3.23369 1.94655 0.060 0.022 0.057
H -3.29717 3.22874 2.95501 0.102 -0.088 -0.131
H -2.55699 3.22169 1.33228 -0.292 -0.067 0.008
H -4.04278 2.24880 1.69067 0.258 0.087 -0.080
H -3.36237 1.15071 4.20286 0.275 -0.161 -0.437
H -3.68702 -0.02667 2.89950 0.306 0.160 0.051
H -2.18575 -0.12314 3.83822 0.191 -0.140 -0.162
H -0.67649 2.89007 2.51185 -0.144 -0.217 -0.103
H -0.69112 1.81183 3.87291 -0.155 -0.167 0.176
H 1.16123 1.14215 2.42354 0.359 0.190 -0.018
H 0.01200 -0.10295 2.39751 -0.307 -0.376 0.176
H 1.97192 5.24623 -1.95048 -0.121 -0.181 0.032
O -0.15114 -2.23157 3.35524 0.012 0.213 -0.286
S -1.04127 -2.59352 2.26689 0.201 -0.570 0.418
O -2.00938 -3.59883 2.60778 -0.062 0.458 -0.438
O -1.59241 -1.34682 1.65462 -0.220 -0.415 -0.350
C 0.03774 -3.32224 0.99940 -0.099 0.215 0.316
C 1.26941 -3.71974 1.49732 -0.041 0.224 -0.092
C 2.21492 -4.30927 0.67631 -0.089 -0.266 0.090
C 1.91546 -4.56565 -0.65218 0.179 -0.088 0.075
C 0.67749 -4.20818 -1.15068 -0.082 0.160 -0.547
C -0.24334 -3.55588 -0.34370 -0.456 0.045 -0.232
S -1.69793 -2.95722 -1.20479 -1.204 0.262 1.058
O -1.72198 -3.57114 -2.49244 0.332 -0.144 -0.572
O -2.87283 -3.12373 -0.37946 0.775 0.242 -0.279
O -1.36936 -1.46278 -1.37082 0.085 0.017 0.351
H 1.45371 -3.49436 2.53480 0.217 -0.151 0.112
H 3.15345 -4.62008 1.10807 0.197 0.043 -0.070
H 2.64047 -5.03373 -1.30532 0.003 -0.066 0.047
H 0.41284 -4.37831 -2.19814 0.114 0.012 0.419
C 2.40839 0.87099 -3.68617 -0.515 -0.012 0.041
P 1.07361 0.57014 -2.49622 -0.534 0.007 0.360
C -0.31846 0.13976 -3.54825 0.832 0.173 -0.563
C 1.64901 -0.78799 -1.45284 0.565 0.297 -0.417
H 2.65883 -0.08296 -4.12637 0.092 -0.340 -0.101
H 3.28057 1.29693 -3.23340 0.485 0.183 0.412
H 2.07188 1.53540 -4.46932 -0.113 0.080 -0.124
H 0.04405 -0.68025 -4.18253 -0.228 0.030 0.099
H -0.48920 1.02092 -4.17865 -0.127 -0.160 0.143
H -1.19472 -0.13987 -2.99577 -0.121 -0.056 -0.052
H 2.44419 -1.27395 -2.01403 0.080 -0.140 -0.036
H 0.90222 -1.51723 -1.21378 -0.495 -0.109 0.021
H 2.06700 -0.40142 -0.53362 0.071 0.176 0.197


(2)
55
Properties=species:S:1:pos:R:3:forces:R:3 method="wB97M-V/def2-TZVPD" relative_energy_kcal_mol=0.0 total_charge=+2 multiplicity=6 s2=8.782 homo_ev="-15.1 / -15.5"
Ir 0.53953 -0.94017 -0.15188 -0.041 0.577 0.326
C -0.27336 -1.81051 2.88540 -0.034 -0.099 0.030
O 0.74896 -1.18962 2.08025 -0.088 -0.346 -0.065
C 2.09005 -1.45767 2.51966 0.104 0.038 0.066
C 2.98134 -0.63537 1.63535 0.106 0.095 0.162
O 2.76245 -0.99450 0.24900 -0.236 -0.124 -0.062
C 3.47309 -2.17433 -0.19524 0.175 -0.008 -0.079
H -0.14632 -1.49748 3.92011 0.015 0.055 0.003
H -0.21175 -2.89649 2.81423 0.034 -0.003 -0.029
H -1.23335 -1.46411 2.51307 0.007 0.019 -0.026
H 2.29319 -2.52971 2.44495 -0.045 -0.019 0.025
H 2.20969 -1.14785 3.55893 -0.077 0.039 0.013
H 4.02935 -0.77271 1.89924 0.039 -0.038 -0.120
H 2.71374 0.41696 1.71725 0.023 -0.025 -0.031
H 4.52373 -2.07423 0.07020 0.002 0.043 0.006
H 3.37573 -2.21086 -1.27566 -0.029 0.015 -0.009
H 3.06453 -3.08008 0.25492 -0.029 0.027 0.035
Cl -2.01419 -4.61308 -6.01137 -0.039 -0.038 -0.001
C -1.16561 -3.67896 -4.89921 0.031 0.035 -0.024